_Job_
Search the lines below for the word "eV" and print each line that has it, please.

_Given_
~~~
# KRb2CO3F

A geometry-optimized KRb2CO3F structure (PBE, the Alexandria database).

## Properties
E_form (uncorrected) ... -1.972 eV/atom
N(E_F) ... 0.00 states/eV per atom
DFT total energy ... -0.4114 Ry per atom

a = 12.357 Å, b = 7.792 Å, c = 7.187 Å
α = 90.00°, β = 118.75°, γ = 90.00°
Space group C2 (No. 5)
Symmetry-distinct sites (fractional):
K1 0.208 0.000 0.413 [4 per cell]
Rb1 0.000 0.278 0.500 [2 per cell]
Rb2 0.000 0.632 0.000 [2 per cell]
Rb3 0.213 0.918 0.922 [4 per cell]
C1 0.000 0.199 0.000 [2 per cell]
C2 0.000 0.707 0.500 [2 per cell]
O1 0.000 0.030 0.000 [2 per cell]
O2 0.000 0.875 0.500 [2 per cell]
O3 0.086 0.282 0.162 [4 per cell]
O4 0.088 0.623 0.658 [4 per cell]
F1 0.248 0.708 0.265 [4 per cell]


Entry 1:
VASP calculation (PBE) on a relaxed structure of Sc2Ga3Pd4.

Cell: 7.8124 7.8124 7.6454 Å, 90.00 90.00 139.16°
Element x y z (fractional)
Sc (0.1069, 0.8931, 0.9143)
Sc (0.3931, 0.6069, 0.4143)
Sc (0.6069, 0.3931, 0.5857)
Sc (0.8931, 0.1069, 0.0857)
Ga (0.0000, 0.0000, 0.5000)
Ga (0.0157, 0.4843, 0.7500)
Ga (0.4843, 0.0157, 0.2500)
Ga (0.5000, 0.5000, 0.0000)
Ga (0.5157, 0.9843, 0.7500)
Ga (0.9843, 0.5157, 0.2500)
Pd (0.1806, 0.8194, 0.5189)
Pd (0.1914, 0.3086, 0.7500)
Pd (0.3086, 0.1914, 0.2500)
Pd (0.3194, 0.6806, 0.0189)
Pd (0.6806, 0.3194, 0.9811)
Pd (0.6914, 0.8086, 0.7500)
Pd (0.8086, 0.6914, 0.2500)
Pd (0.8194, 0.1806, 0.4811)

Output
The offset from the most stable computed form is 0.000 eV per atom. The value obtained for the energy of formation is -784 meV per atom. The calculation puts the total energy at -99.15 eV for the cell shown. For the total magnetization, the calculation gives 0.000 μB/atom.

***

Entry 2:
VASP calculation (PBE) on a relaxed structure of MnCd2Pb.

Cell: 10.5940 10.5940 10.5940 Å, 17.34 17.34 17.34°
Element x y z (fractional)
Mn (0.0000, 0.0000, 0.0000)
Cd (0.4903, 0.4903, 0.4903)
Cd (0.7371, 0.7371, 0.7371)
Pb (0.2540, 0.2540, 0.2540)

Output
The value obtained for the energy of formation is 285 meV per atom. The calculation puts the total energy at -13.57 eV for the cell shown. For the total magnetization, the calculation gives 0.919 μB/atom.

***

Entry 3:
VASP calculation (PBE) on a relaxed structure of CoRh2Se.

Cell: 4.6565 4.6565 4.6565 Å, 130.61 130.61 72.43°
Element x y z (fractional)
Co (0.0000, 0.0000, 0.0000)
Rh (0.2500, 0.7500, 0.5000)
Rh (0.5000, 0.5000, 0.0000)
Se (0.7500, 0.2500, 0.5000)

Output
The calculation puts the total energy at -24.38 eV for the cell shown. For the total magnetization, the calculation gives 0.649 μB/atom. As for the uncorrected formation energy: 88 kJ/mol of formula units.

***

Entry 4:
VASP calculation (PBE) on a relaxed structure of LiDyMg.

Cell: 3.4938 3.4952 12.1421 Å, 89.97 89.97 90.00°
Element x y z (fractional)
Li (0.0000, 0.0000, 0.0000)
Li (0.4988, 0.5002, 0.8638)
Dy (0.9997, 0.9997, 0.3297)
Dy (0.4989, 0.4998, 0.5343)
Mg (0.4994, 0.4993, 0.1403)
Mg (0.9984, 0.9996, 0.7240)

Output
The offset from the most stable computed form is 0.000 eV per atom. The value obtained for the energy of formation is -33 meV per atom. The calculation puts the total energy at -16.42 eV for the cell shown. For the total magnetization, the calculation gives 0.000 μB/atom.

***

Entry 5:
VASP calculation (PBE) on a relaxed structure of RbCo2Ru.

Cell: 4.5733 4.5733 4.5733 Å, 60.00 60.00 60.00°
Element x y z (fractional)
Rb (0.0000, 0.0000, 0.0000)
Co (0.2500, 0.2500, 0.2500)
Co (0.7500, 0.7500, 0.7500)
Ru (0.5000, 0.5000, 0.5000)

Output
The offset from the most stable computed form is 0.189 eV per atom. The value obtained for the energy of formation is 1531 meV per atom. The calculation puts the total energy at -18.33 eV for the cell shown. For the total magnetization, the calculation gives 1.183 μB/atom.

***

Entry 6:
VASP calculation (PBE) on a relaxed structure of Pr3GaNi3.

Cell: 5.6230 5.6230 13.5787 Å, 90.00 90.00 136.68°
Element x y z (fractional)
Pr (0.0014, 0.9986, 0.7500)
Pr (0.2807, 0.7193, 0.1040)
Pr (0.2807, 0.7193, 0.3960)
~~~

_Completed_
E_form (uncorrected) ... -1.972 eV/atom
N(E_F) ... 0.00 states/eV per atom
The offset from the most stable computed form is 0.000 eV per atom. The value obtained for the energy of formation is -784 meV per atom. The calculation puts the total energy at -99.15 eV for the cell shown. For the total magnetization, the calculation gives 0.000 μB/atom.
The value obtained for the energy of formation is 285 meV per atom. The calculation puts the total energy at -13.57 eV for the cell shown. For the total magnetization, the calculation gives 0.919 μB/atom.
The calculation puts the total energy at -24.38 eV for the cell shown. For the total magnetization, the calculation gives 0.649 μB/atom. As for the uncorrected formation energy: 88 kJ/mol of formula units.
The offset from the most stable computed form is 0.000 eV per atom. The value obtained for the energy of formation is -33 meV per atom. The calculation puts the total energy at -16.42 eV for the cell shown. For the total magnetization, the calculation gives 0.000 μB/atom.
The offset from the most stable computed form is 0.189 eV per atom. The value obtained for the energy of formation is 1531 meV per atom. The calculation puts the total energy at -18.33 eV for the cell shown. For the total magnetization, the calculation gives 1.183 μB/atom.